## Contents
<<<
Compound: Y3TiIr
Source: Alexandria
Functional: GGA-PBE
Structure: relaxed

a = 5.3674 Å, b = 5.3674 Å, c = 5.3674 Å
α = 90.00°, β = 90.00°, γ = 90.00°
Closest atoms and distances in Å follow each position.
Positions (direct):
Y1 0.0000 0.5000 0.0000  2 Ir 2.68
Y2 0.0000 0.0000 0.5000  2 Ir 2.68
Y3 0.5000 0.0000 0.0000  2 Ir 2.68
Ir1 0.0000 0.0000 0.0000  6 Y 2.68
Ti1 0.5000 0.5000 0.5000  12 Y 3.80

Computed properties:
Formation energy (eV per atom): 0.05
Distance to the lowest polymorph of the same formula (meV per atom): 0
E (eV for the cell shown): -35.9
N(E_F) (states/eV per cell): 3.775
ρ (g/cm3): 5.44
>>>

## Job
Could you reproduce everything earlier on without additions?

## Here it is
Compound: Y3TiIr
Source: Alexandria
Functional: GGA-PBE
Structure: relaxed

a = 5.3674 Å, b = 5.3674 Å, c = 5.3674 Å
α = 90.00°, β = 90.00°, γ = 90.00°
Closest atoms and distances in Å follow each position.
Positions (direct):
Y1 0.0000 0.5000 0.0000  2 Ir 2.68
Y2 0.0000 0.0000 0.5000  2 Ir 2.68
Y3 0.5000 0.0000 0.0000  2 Ir 2.68
Ir1 0.0000 0.0000 0.0000  6 Y 2.68
Ti1 0.5000 0.5000 0.5000  12 Y 3.80

Computed properties:
Formation energy (eV per atom): 0.05
Distance to the lowest polymorph of the same formula (meV per atom): 0
E (eV for the cell shown): -35.9
N(E_F) (states/eV per cell): 3.775
ρ (g/cm3): 5.44